[1]
The following is a theoretical powder X-ray diffraction pattern of Pr4Sb3I. It was derived from a structure optimized by DFT (GGA-PBE), using Cu Kα X-rays.
Kinematic intensities with the Lorentz-polarization factor, no thermal factor.

Most intense lines, 2θ from 10° to 90°, by angle:
- 2θ = 27.59°, intensity 43.5
- 2θ = 27.72°, intensity 87.7
- 2θ = 39.54°, intensity 100.0
- 2θ = 48.94°, intensity 35.7
- 2θ = 57.24°, intensity 11.3
- 2θ = 64.50°, intensity 14.5
- 2θ = 64.73°, intensity 30.9
- 2θ = 71.59°, intensity 10.7
- 2θ = 71.78°, intensity 22.5
- 2θ = 85.05°, intensity 6.9

```
Pr4Sb3I
1.0
-3.219 3.219 6.467
3.219 -3.219 6.467
3.219 3.219 -6.467
Pr Sb I
4 3 1
Direct
0.000 0.500 0.500
0.239 0.239 0.000
0.500 0.000 0.500
0.761 0.761 0.000
0.000 0.000 0.000
0.250 0.750 0.500
0.750 0.250 0.500
0.500 0.500 0.000
```


[2]
The following is a theoretical powder X-ray diffraction pattern of Ho3Ga5. It was derived from a structure optimized by DFT (GGA-PBE), using Cu Kα X-rays.
Kinematic intensities with the Lorentz-polarization factor, no thermal factor.

Most intense lines, 2θ from 10° to 90°, by angle:
- 2θ = 28.30°, intensity 53.3
- 2θ = 30.37°, intensity 43.6
- 2θ = 33.41°, intensity 80.8
- 2θ = 34.76°, intensity 55.8
- 2θ = 35.72°, intensity 100.0
- 2θ = 36.61°, intensity 73.0
- 2θ = 37.21°, intensity 87.4
- 2θ = 37.85°, intensity 82.0
- 2θ = 41.56°, intensity 65.9
- 2θ = 54.12°, intensity 35.4

```
Ho3Ga5
1.0
11.398 0.000 0.000
0.000 9.667 0.000
0.000 0.000 6.093
Ho Ga
12 20
Direct
0.074 0.250 0.153
0.148 0.510 0.610
0.148 0.990 0.610
0.352 0.010 0.110
0.352 0.490 0.110
0.426 0.750 0.653
0.574 0.250 0.347
0.648 0.510 0.890
0.648 0.990 0.890
0.852 0.010 0.390
0.852 0.490 0.390
0.926 0.750 0.847
0.006 0.250 0.629
0.090 0.552 0.127
0.090 0.948 0.127
0.199 0.750 0.899
0.248 0.750 0.326
0.252 0.250 0.826
0.301 0.250 0.399
0.410 0.052 0.627
0.410 0.448 0.627
0.494 0.750 0.129
0.506 0.250 0.871
0.590 0.552 0.373
0.590 0.948 0.373
0.699 0.750 0.601
0.748 0.750 0.174
0.752 0.250 0.674
0.801 0.250 0.101
0.910 0.052 0.873
0.910 0.448 0.873
0.994 0.750 0.371
```


[3]
The following is a theoretical powder X-ray diffraction pattern of BaHf2Pb2O7. It was derived from a structure optimized by DFT (GGA-PBE), using Cu Kα X-rays.
Kinematic intensities with the Lorentz-polarization factor, no thermal factor.

Most intense lines, 2θ from 10° to 90°, by angle:
- 2θ = 27.39°, intensity 42.1
- 2θ = 28.18°, intensity 100.0
- 2θ = 29.60°, intensity 78.6
- 2θ = 30.73°, intensity 44.2
- 2θ = 33.96°, intensity 18.5
- 2θ = 41.03°, intensity 23.0
- 2θ = 41.63°, intensity 29.0
- 2θ = 52.12°, intensity 18.2
- 2θ = 53.09°, intensity 17.9
- 2θ = 56.41°, intensity 30.1

```
BaHf2Pb2O7
1.0
-1.903 9.435 2.909
1.903 -9.435 2.909
1.903 9.435 -2.909
Ba Hf Pb O
1 2 2 7
Direct
0.000 0.000 0.000
0.432 0.035 0.397
0.638 0.035 0.603
0.261 0.552 0.710
0.842 0.552 0.290
0.124 0.708 0.416
0.244 0.960 0.284
0.292 0.708 0.584
0.547 0.664 0.884
0.656 0.156 0.500
0.676 0.960 0.716
0.780 0.664 0.116
```


[4]
The following is a theoretical powder X-ray diffraction pattern of Ce2AlGeRh6. It was derived from a structure optimized by DFT (GGA-PBE), using Cu Kα X-rays.
Kinematic intensities with the Lorentz-polarization factor, no thermal factor.

Most intense lines, 2θ from 10° to 90°, by angle:
- 2θ = 27.64°, intensity 11.2
- 2θ = 34.02°, intensity 100.0
- 2θ = 39.48°, intensity 77.8
- 2θ = 48.88°, intensity 4.7
- 2θ = 57.07°, intensity 52.2
- 2θ = 64.56°, intensity 2.1
- 2θ = 68.13°, intensity 38.7
- 2θ = 71.62°, intensity 17.4
- 2θ = 78.39°, intensity 2.4
- 2θ = 85.00°, intensity 8.3

```
Ce2AlGeRh6
1.0
0.000 4.564 4.564
4.564 0.000 4.564
4.564 4.564 0.000
Ce Al Ge Rh
2 1 1 6
Direct
0.250 0.250 0.250
0.750 0.750 0.750
0.000 0.000 0.000
0.500 0.500 0.500
0.249 0.249 0.751
0.249 0.751 0.249
0.249 0.751 0.751
Find the line above that holds "0.410 0.052", then return that line and all lines after it there.
0.410 0.052 0.627
0.410 0.448 0.627
0.494 0.750 0.129
0.506 0.250 0.871
0.590 0.552 0.373
0.590 0.948 0.373
0.699 0.750 0.601
0.748 0.750 0.174
0.752 0.250 0.674
0.801 0.250 0.101
0.910 0.052 0.873
0.910 0.448 0.873
0.994 0.750 0.371
```


[3]
The following is a theoretical powder X-ray diffraction pattern of BaHf2Pb2O7. It was derived from a structure optimized by DFT (GGA-PBE), using Cu Kα X-rays.
Kinematic intensities with the Lorentz-polarization factor, no thermal factor.

Most intense lines, 2θ from 10° to 90°, by angle:
- 2θ = 27.39°, intensity 42.1
- 2θ = 28.18°, intensity 100.0
- 2θ = 29.60°, intensity 78.6
- 2θ = 30.73°, intensity 44.2
- 2θ = 33.96°, intensity 18.5
- 2θ = 41.03°, intensity 23.0
- 2θ = 41.63°, intensity 29.0
- 2θ = 52.12°, intensity 18.2
- 2θ = 53.09°, intensity 17.9
- 2θ = 56.41°, intensity 30.1

```
BaHf2Pb2O7
1.0
-1.903 9.435 2.909
1.903 -9.435 2.909
1.903 9.435 -2.909
Ba Hf Pb O
1 2 2 7
Direct
0.000 0.000 0.000
0.432 0.035 0.397
0.638 0.035 0.603
0.261 0.552 0.710
0.842 0.552 0.290
0.124 0.708 0.416
0.244 0.960 0.284
0.292 0.708 0.584
0.547 0.664 0.884
0.656 0.156 0.500
0.676 0.960 0.716
0.780 0.664 0.116
```


[4]
The following is a theoretical powder X-ray diffraction pattern of Ce2AlGeRh6. It was derived from a structure optimized by DFT (GGA-PBE), using Cu Kα X-rays.
Kinematic intensities with the Lorentz-polarization factor, no thermal factor.

Most intense lines, 2θ from 10° to 90°, by angle:
- 2θ = 27.64°, intensity 11.2
- 2θ = 34.02°, intensity 100.0
- 2θ = 39.48°, intensity 77.8
- 2θ = 48.88°, intensity 4.7
- 2θ = 57.07°, intensity 52.2
- 2θ = 64.56°, intensity 2.1
- 2θ = 68.13°, intensity 38.7
- 2θ = 71.62°, intensity 17.4
- 2θ = 78.39°, intensity 2.4
- 2θ = 85.00°, intensity 8.3

```
Ce2AlGeRh6
1.0
0.000 4.564 4.564
4.564 0.000 4.564
4.564 4.564 0.000
Ce Al Ge Rh
2 1 1 6
Direct
0.250 0.250 0.250
0.750 0.750 0.750
0.000 0.000 0.000
0.500 0.500 0.500
0.249 0.249 0.751
0.249 0.751 0.249
0.249 0.751 0.751